### Job
Now retype only the lines below with the word "No" in them.

### File
/*
# SrScP2

A relaxed structure of SrScP2 (PBE-GGA, Alexandria).

Properties
Uncorrected energy (eV per atom): -5.403
Symmetry: Fm-3m
Magnetization (μB/f.u.): 0.0
Fermi-level density of states (states/eV per cell): 2.75

a b c (Å): 4.9373 4.9373 4.9373
angles (deg): 60.00 60.00 60.00
Closest atoms and distances in Å follow each position.
Fractional positions:
Sc (0.0000, 0.0000, 0.0000)  8 P 3.02
Sr (0.5000, 0.5000, 0.5000)  8 P 3.02
P (0.2500, 0.2500, 0.2500)  4 Sr 3.02, 4 Sc 3.02
P (0.7500, 0.7500, 0.7500)  4 Sc 3.02, 4 Sr 3.02


# SrScP

A relaxed structure of SrScP (PBE-GGA, Alexandria).

Properties
Uncorrected energy (eV per atom): -5.051
Symmetry: F-43m
Magnetization (μB/f.u.): 0.0
Fermi-level density of states (states/eV per cell): 3.55

a b c (Å): 4.7647 4.7647 4.7647
angles (deg): 60.00 60.00 60.00
Closest atoms and distances in Å follow each position.
Fractional positions:
Sr (0.5000, 0.5000, 0.5000)  4 P 2.92
Sc (0.0000, 0.0000, 0.0000)  4 P 2.92
P (0.2500, 0.2500, 0.2500)  4 Sr 2.92, 4 Sc 2.92

~~~~~

No. 1
The following is a PBE-GGA calculation of an optimized crystal structure of PmTlHg, from Alexandria via LeMat-Bulk.

extended XYZ file:
```
6
Lattice="2.603 -6.089 0.000 2.603 6.089 0.000 0.000 0.000 5.222" Properties=species:S:1:pos:R:3 pbc="T T T"
Pm 2.603 3.134 3.917
Pm 2.603 -3.134 1.306
Tl 2.603 5.201 1.306
Tl 2.603 -5.201 3.917
Hg 2.603 1.076 1.306
Hg 2.603 -1.076 3.917
```

Results
- Calculated formation energy: -0.271 eV/atom

---

No. 2
The following is a PBE-GGA calculation of an optimized crystal structure of Pm3Tl2Hg4, from Alexandria via LeMat-Bulk.

extended XYZ file:
```
9
Lattice="5.668 -2.506 0.000 5.668 2.506 0.000 -4.355 0.000 8.473" Properties=species:S:1:pos:R:3 pbc="T T T"
Pm 0.000 0.000 0.000
Pm 2.355 0.000 2.796
Pm 4.625 0.000 5.677
Tl 1.268 0.000 6.169
Tl 5.713 0.000 2.304
Hg -0.875 0.000 3.581
Hg -0.822 0.000 8.278
Hg 7.803 0.000 0.196
Hg 7.856 0.000 4.892
```

Results
- Calculated formation energy: -0.379 eV/atom

---

No. 3
The following is a PBE-GGA calculation of an optimized crystal structure of Pm3TlHg, from Alexandria via LeMat-Bulk.

extended XYZ file:
```
10
Lattice="2.690 -10.361 0.000 2.690 10.361 0.000 0.000 0.000 5.378" Properties=species:S:1:pos:R:3 pbc="T T T"
Pm 2.690 9.126 4.033
Pm 2.690 5.186 4.033
Pm 2.690 1.246 4.033
Pm 2.690 -1.246 1.344
Pm 2.690 -5.186 1.344
Pm 2.690 -9.126 1.344
Tl 2.690 7.176 1.344
Tl 2.690 -7.176 4.033
Hg 2.690 3.149 1.344
Hg 2.690 -3.149 4.033
```

Results
- Calculated formation energy: -0.317 eV/atom

---

No. 4
The following is a PBE-GGA calculation of an optimized crystal structure of PmTlHg, from Alexandria via LeMat-Bulk.

extended XYZ file:
```
3
Lattice="4.992 0.000 0.000 -2.496 4.323 0.000 0.000 0.000 3.808" Properties=species:S:1:pos:R:3 pbc="T T T"
Pm 0.000 0.000 0.000
Tl 0.000 2.882 2.206
Hg 2.496 1.441 1.518
```

Results
- Calculated formation energy: -0.342 eV/atom

---

No. 5
The following is a PBE-GGA calculation of an optimized crystal structure of Pm4TlHg3, from Alexandria via LeMat-Bulk.

extended XYZ file:
```
8
Lattice="3.803 0.000 0.000 0.000 3.803 0.000 0.000 0.000 15.570" Properties=species:S:1:pos:R:3 pbc="T T T"
Pm 0.000 0.000 1.910
Pm 0.000 0.000 5.733
Pm 0.000 0.000 9.837
Pm 0.000 0.000 13.660
Tl 1.902 1.902 7.785
Hg 1.902 1.902 0.000
Hg 1.902 1.902 3.836
Hg 1.902 1.902 11.735
```

Results
- Calculated formation energy: -0.450 eV/atom

---

No. 6
The following is a PBE-GGA calculation of an optimized crystal structure of PmTl2Hg, from Alexandria via LeMat-Bulk.

extended XYZ file:
```
4
Lattice="1.768 1.021 11.570 -1.768 1.021 11.570 0.000 -2.042 11.570" Properties=species:S:1:pos:R:3 pbc="T T T"
Pm 0.000 0.000 0.000
Tl 0.000 0.000 3.213
Tl 0.000 0.000 31.497
Hg 0.000 0.000 17.355
```

Results
- Calculated formation energy: 0.098 eV/atom

---

No. 7
The following is a PBE-GGA calculation of an optimized crystal structure of PmTl2Hg5, from Alexandria via LeMat-Bulk.

extended XYZ file:
```
8
*/

### Solution
No. 1
No. 2
No. 3
No. 4
No. 5
No. 6
No. 7